
3 Keys to a Successful Advisory Board
August 17, 2016 at 11:40 am

An advisory board can be an incredible nonprofit and higher education resource, especially in fundraising. What is an advisory board? An advisory board is a non-governing body that provides advice and often serves as ambassadors for an officer or an organization. For example, in higher education at a state-sponsored university, a college or dean might have an advisory board...

Help! My Board Chair Is a Wimp
August 12, 2016 at 10:03 am

Small town. The center of culture lives here at this library. And the building is a jewel in the town. Historic. Small staff. Small local board. Not a lot of money for board education. Actually, no money. Also, not a lot of role clarity. In fact, two staff members are also board members. Messy. It’s…

4 Ways Every Board Member Can Help With Your Capital Campaign
August 8, 2016 at 9:00 am

Chances are good that most of your board members have only a vague notion of what will be expected of them in your capital campaign. Board members who know they can’t make big gifts to the campaign may be especially concerned, since they may not even know many people who could. They may even be quietly wondering if they should resign from the board...

-- Records of crystals, kept here for reference --
## Sc2CoAg (GGA-PBE)

Data for a relaxed structure of Sc2CoAg.

```
data_Sc2CoAg
_chemical_formula_sum 'Sc4 Co2 Ag2'
_symmetry_space_group_name_H-M 'C 1 m 1'
_symmetry_Int_Tables_number 8
_cell_length_a 10.4651
_cell_length_b 3.1054
_cell_length_c 4.6899
_cell_angle_alpha 90.00
_cell_angle_beta 108.36
_cell_angle_gamma 90.00
loop_
_symmetry_equiv_pos_as_xyz
'x,y,z'
'x,-y,z'
'x+1/2,y+1/2,z'
'x+1/2,-y+1/2,z'
loop_
_atom_site_label
_atom_site_type_symbol
_atom_site_fract_x
_atom_site_fract_y
_atom_site_fract_z
Sc1 Sc 0.0000 0.0000 0.0000
Sc2 Sc 0.2020 0.0000 0.6512
Co1 Co 0.2108 0.5000 0.1261
Ag1 Ag 0.4302 0.0000 0.4388
```

Summary:
DFT total energy ... -5.786 eV per atom
Total magnetization ... 0.001 μB/atom
-- Back to the piece --

10 Opportunities for Nonprofit Board Members to Tell Stories
August 1, 2016 at 10:59 am

Easing board members into fundraising can be a rewarding and fun process, especially if they focus on just telling stories. Last month on the blog, I shared three types of stories that nonprofit board members can tell. Once board members have stories in mind that they would like to tell, they may be wondering where…

Board Members: Some Ideas About Fundraising That Might Surprise You!
July 29, 2016 at 11:59 am

If you are a nonprofit board member, does this sound familiar? Your organization needs more financial resources. And, you are not sure which path to take. Should you: Help launch another fundraising event? Invite your friends over for coffee and ask them for support? Organize a campaign for major gifts? It can be confusing to…

[Next to the text, the page also holds data records]
<<<
First-principles (GGA+U) data for a relaxed RbEuW2O8 crystal, as listed in Alexandria.

The structure in CIF format:
```
data_RbEuW2O8
_chemical_formula_sum 'Rb4 Eu4 W8 O32'
_symmetry_space_group_name_H-M 'C 1 2/c 1'
_symmetry_Int_Tables_number 15
_symmetry_space_group_name_Hall '-C 2yc'
_cell_length_a 11.1540
_cell_length_b 10.9704
_cell_length_c 7.5384
_cell_angle_alpha 90.00
_cell_angle_beta 130.34
_cell_angle_gamma 90.00
loop_
_atom_site_label
_atom_site_type_symbol
_atom_site_fract_x
_atom_site_fract_y
_atom_site_fract_z
Rb1 Rb 0.0000 0.2072 0.2500
Eu1 Eu 0.0000 0.2251 0.7500
W1 W 0.1935 0.4951 0.7111
O1 O 0.0156 0.3925 0.9669
O2 O 0.1418 0.0929 0.6973
O3 O 0.1855 0.4414 0.4382
O4 O 0.2110 0.1499 0.1323
```

Calculated values
The calculation puts the magnetic moment at 6.0 μB/f.u. The total energy is -7.678 eV/atom.

=====

Entry 1:
Below is an optimized crystal structure of In2AgTe4, with properties calculated at the PBE level.

Calculated values
- Raw formation energy: -4.89 kcal/mol of atoms
- Energy: -3.20 eV per atom

Cell lengths 6.097, 6.097, 6.742 Å; angles 90.00, 90.00, 90.00 degrees
Positions (direct):
In 0.500 0.000 0.500
In 0.000 0.500 0.500
Ag 0.000 0.000 0.000
Te 0.728 0.272 0.771
Te 0.272 0.272 0.229
Te 0.272 0.728 0.771
Te 0.728 0.728 0.229

Entry 2:
Below is an optimized crystal structure of In3AgTe, with properties calculated at the PBE level.

Calculated values
- Offset from the most stable computed form: 0 meV/atom
- Raw formation energy: 1.07 kcal/mol of atoms
- Energy: -2.80 eV per atom

Cell lengths 5.349, 5.349, 5.349 Å; angles 90.00, 90.00, 90.00 degrees
Positions (direct):
Te 0.500 0.500 0.500
Ag 0.000 0.000 0.000
In 0.000 0.500 0.000
In 0.000 0.000 0.500
In 0.500 0.000 0.000

Entry 3:
Below is an optimized crystal structure of In3AgTe4, with properties calculated at the PBE level.

Calculated values
- Offset from the most stable computed form: 0 meV/atom
- Raw formation energy: -5.16 kcal/mol of atoms
- Energy: -3.18 eV per atom

Cell lengths 4.578, 4.578, 14.902 Å; angles 90.00, 90.00, 90.00 degrees
Positions (direct):
Te 0.000 0.500 0.663
Te 0.500 0.000 0.337
Te 0.000 0.500 0.107
Te 0.500 0.000 0.893
Ag 0.000 0.000 0.000
In 0.500 0.500 0.777
In 0.000 0.000 0.500
In 0.500 0.500 0.223

Entry 4:
Below is an optimized crystal structure of In2AgTe, with properties calculated at the PBE level.

Calculated values
- Raw formation energy: 0.29 kcal/mol of atoms
- Energy: -2.85 eV per atom

Cell lengths 3.200, 3.930, 8.162 Å; angles 90.00, 90.00, 90.00 degrees
Positions (direct):
Te 0.500 0.500 0.250
Ag 0.500 0.500 0.750
In 0.000 0.000 0.967
In 0.000 0.000 0.533

Entry 5:
Below is an optimized crystal structure of In2AgTe, with properties calculated at the PBE level.

Calculated values
- Raw formation energy: -0.36 kcal/mol of atoms
- Energy: -2.88 eV per atom

Cell lengths 4.281, 3.205, 7.769 Å; angles 89.96, 90.00, 90.00 degrees
Positions (direct):
Te 0.000 0.502 0.526
Ag 0.500 0.500 0.781
In 0.000 0.999 0.965
>>>

5 Ways to Make the Most of Your Nonprofit Board's Contacts
July 27, 2016 at 10:09 am

Nonprofit leaders have a valuable resource hidden in plain sight. It's their board members. Your board is not just for fundraising or decision-making. Its relationship capital is worth a lot more. It can help meet many of your organization's needs. Combine the connections your board members have built over their careers with the right opportunities,…

3 Ways Nonprofit Board Members Can Tell Stories, Raise Money
July 19, 2016 at 10:07 am

Having been both a fundraiser and a board member, it’s been interesting to see both sides of the conversation about board fundraising. I have to say, having had a seat at the board table and now being a board chair, I have a lot more empathy for what board members are feeling when they are…

Quality Meetings Depend on Quality Agendas
July 15, 2016 at 9:20 am

Misplaced records of crystals.
1.
# TaSnTeN2 PBE optimized geometry
# Distance to the lowest polymorph of the same formula   7.36 eV/f.u.
data_TaSnTeN2
_chemical_formula_sum 'Ta1 Sn1 Te1 N2'
_space_group_name_H-M_alt 'P 4/m m m'
_space_group_IT_number 123
_space_group_name_Hall '-P 4 2'
_cell_length_a 4.0895
_cell_length_b 4.0895
_cell_length_c 5.7425
_cell_angle_alpha 90.00
_cell_angle_beta 90.00
_cell_angle_gamma 90.00
loop_
_atom_site_label
_atom_site_type_symbol
_atom_site_fract_x
_atom_site_fract_y
_atom_site_fract_z
_atom_site_occupancy
Ta1 Ta 0.0000 0.0000 0.0000 1
Sn1 Sn 0.5000 0.5000 0.5000 1
Te1 Te 0.5000 0.5000 0.0000 1
N1 N 0.0000 0.5000 0.5000 1

=====

2.
The following is a DFT calculation (PBE) of a relaxed structure of Tb4SnN.

Structure (CIF):
```
data_Tb4SnN
_chemical_formula_sum 'Tb8 Sn2 N2'
_space_group_name_H-M_alt 'P -1'
_space_group_IT_number 2
_space_group_name_Hall '-P 1'
_cell_length_a 5.8050
_cell_length_b 7.0471
_cell_length_c 8.2000
_cell_angle_alpha 106.23
_cell_angle_beta 110.69
_cell_angle_gamma 90.01
loop_
_atom_site_label
_atom_site_type_symbol
_atom_site_fract_x
_atom_site_fract_y
_atom_site_fract_z
_atom_site_occupancy
Tb1 Tb 0.0567 0.4243 0.2139 1
Tb2 Tb 0.1576 0.9245 0.2139 1
Tb3 Tb 0.2737 0.8127 0.6148 1
Tb4 Tb 0.3410 0.3127 0.6150 1
Sn1 Sn 0.4395 0.2495 0.0000 1
N1 N 0.0000 0.5000 0.5000 1
N2 N 0.5000 0.0000 0.5000 1
```

=====

3.
The following is a DFT calculation (PBE) of a relaxed structure of Tb12Sn3N5.

Structure (CIF):
```
data_Tb12Sn3N5
_chemical_formula_sum 'Tb96 Sn24 N40'
_space_group_name_H-M_alt 'I a -3 d'
_space_group_IT_number 230
_space_group_name_Hall '-I 4bd 2c 3'
_cell_length_a 15.6872
_cell_length_b 15.6872
_cell_length_c 15.6872
_cell_angle_alpha 90.00
_cell_angle_beta 90.00
_cell_angle_gamma 90.00
loop_
_atom_site_label
_atom_site_type_symbol
_atom_site_fract_x
_atom_site_fract_y
_atom_site_fract_z
_atom_site_occupancy
Tb1 Tb 0.0378 0.0498 0.6475 1
Sn1 Sn 0.0000 0.2500 0.1250 1
N1 N 0.0000 0.0000 0.0000 1
N2 N 0.0000 0.2500 0.3750 1
```

=====

4.
# TbSnN PBE optimized geometry
# Distance to the lowest polymorph of the same formula   0.00 eV/f.u.
data_TbSnN
_chemical_formula_sum 'Tb2 Sn2 N2'

We all have seen agendas that have time amounts allocated for each item, but are never followed. At a certain point, members get tired or uninterested in the meeting or spend too little time on the most important issues. How many of us take meeting agendas for granted? Since meetings are an important part of our business life, we need to better understand this topic...

Bottom-Line Argument for Better Board Talent
July 14, 2016 at 11:07 am

A new study shows—yet again—that boards are sluggish at succession planning. Can a stronger focus on its financial benefits move the needle? It’s no surprise that boards struggle to find talent. But what do we mean when we say "talent"? And just how important is it? A new study by the KPMG Board Leadership Center…

Into the Sunset: Why Your Nonprofit Should Consider Exit Agreements
July 8, 2016 at 10:58 am

Part of good succession planning for your nonprofit should include the following question: What should we do if a longtime CEO is planning to leave? An exit agreement may be a good answer for your organization. There generally are four reasons nonprofit boards explore an exit agreement. These reasons correspond to the type or focus of the agreement...